Lost Girl Review: Episode 8

Lost GirlEpisode 8: Vexed

Materials data that have nothing to do with the page =
# 1
Li3Al2FeO6 | PBE with a Hubbard U | optimized geometry

Properties
formation energy from the elements: -2642 meV per atom
polymorph energy (0 for the lowest one): 41 meV/atom
calculated density: 3.1 Mg/m³

a = 5.887 Å, b = 10.217 Å, c = 9.971 Å
α = 90.00°, β = 125.57°, γ = 90.00°
Fractional coordinates of all 48 atoms:
Li (0.192, 0.153, 0.376)
Li (0.192, 0.347, 0.876)
Li (0.204, 0.005, 0.861)
Li (0.204, 0.495, 0.361)
Li (0.260, 0.001, 0.614)
Li (0.260, 0.499, 0.114)
Li (0.740, 0.501, 0.886)
Li (0.740, 0.999, 0.386)
Li (0.796, 0.505, 0.639)
Li (0.796, 0.995, 0.139)
Li (0.808, 0.653, 0.124)
Li (0.808, 0.847, 0.624)
Al (0.213, 0.668, 0.879)
Al (0.213, 0.832, 0.379)
Al (0.298, 0.661, 0.626)
Al (0.298, 0.839, 0.126)
Al (0.702, 0.161, 0.874)
Al (0.702, 0.339, 0.374)
Al (0.787, 0.168, 0.621)
Al (0.787, 0.332, 0.121)
Fe (0.289, 0.164, 0.126)
Fe (0.289, 0.336, 0.626)
Fe (0.711, 0.664, 0.374)
Fe (0.711, 0.836, 0.874)
O (0.011, 0.174, 0.874)
O (0.011, 0.326, 0.374)
O (0.061, 0.676, 0.387)
O (0.061, 0.824, 0.887)
O (0.064, 0.520, 0.878)
O (0.064, 0.980, 0.378)
O (0.434, 0.503, 0.628)
O (0.434, 0.997, 0.128)
O (0.465, 0.690, 0.123)
O (0.465, 0.810, 0.623)
O (0.491, 0.177, 0.637)
O (0.491, 0.323, 0.137)
O (0.509, 0.677, 0.863)
O (0.509, 0.823, 0.363)
O (0.535, 0.190, 0.377)
O (0.535, 0.310, 0.877)
O (0.566, 0.003, 0.872)
O (0.566, 0.497, 0.372)
O (0.936, 0.020, 0.622)
O (0.936, 0.480, 0.122)
O (0.939, 0.176, 0.113)
O (0.939, 0.324, 0.613)
O (0.989, 0.674, 0.626)
O (0.989, 0.826, 0.126)

***

# 2
Sr2MgZnWO6 | PBE with a Hubbard U | optimized geometry

Properties
formation energy from the elements: -2203 meV per atom
polymorph energy (0 for the lowest one): 331 meV/atom
calculated density: 4.6 Mg/m³

a = 6.151 Å, b = 6.151 Å, c = 6.397 Å
α = 107.64°, β = 107.64°, γ = 60.20°
Fractional coordinates of all 11 atoms:
Sr (0.000, 0.000, 0.000)
Sr (0.648, 0.648, 0.744)
Mg (0.267, 0.267, 0.701)
Zn (0.895, 0.895, 0.519)
W (0.439, 0.439, 0.200)
O (0.051, 0.619, 0.708)
O (0.091, 0.091, 0.711)
O (0.115, 0.649, 0.255)
O (0.570, 0.570, 0.082)
O (0.619, 0.051, 0.708)
O (0.649, 0.115, 0.255)

***

# 3
FeOF | PBE with a Hubbard U | optimized geometry

Properties
formation energy from the elements: -2040 meV per atom
calculated density: 4.4 Mg/m³

a = 9.461 Å, b = 3.085 Å, c = 14.248 Å
α = 90.00°, β = 90.29°, γ = 90.00°
Fractional coordinates of all 36 atoms:
Fe (0.000, 0.000, 0.000)
Fe (0.001, 0.000, 0.339)
Fe (0.205, 0.500, 0.170)
Fe (0.238, 0.500, 0.490)
Fe (0.244, 0.500, 0.854)
Fe (0.486, 0.000, 0.339)
Fe (0.489, 0.000, 0.005)
Fe (0.505, 0.000, 0.670)
Fe (0.707, 0.500, 0.171)
Fe (0.737, 0.500, 0.822)
Fe (0.742, 0.500, 0.520)
Fe (0.974, 0.000, 0.675)
O (0.077, 0.500, 0.275)
O (0.078, 0.500, 0.934)
O (0.131, 0.000, 0.445)
O (0.134, 0.000, 0.103)
O (0.343, 0.000, 0.908)
O (0.391, 0.500, 0.403)
O (0.580, 0.500, 0.274)
O (0.582, 0.500, 0.605)
O (0.632, 0.000, 0.100)
O (0.637, 0.000, 0.773)
O (0.842, 0.000, 0.570)
O (0.895, 0.500, 0.741)
F (0.090, 0.500, 0.615)
End of the materials data =

With this episode, we get a little bit of everything that makes Lost Girl great: some hot sex scenes, secrets and lies, a couple of good fights, and Bo trying to discover who she really is without compromising her principles. In fact, this was the original pilot episode that sold the series. It was produced over a year and a half before the series aired. I guess the previous seven episodes were made after this one, to catch the story up (or fill in some background). Continue reading “Lost Girl Review: Episode 8”

Lost Girl Review: Episode 7

SpiderEpisode 7: ArachnoFaebia

Kenzi’s flirting with the pizza delivery guy (who’s also an actor, of course), but Bo runs him off with her succubus mojo. Kenzi’s not happy, since she was kinda into the guy (“Pretty sure his crust is double-stuffed, if you know what I mean.”) They have a mild argument about how messy the house is and Bo points out it’s their first real fight, which makes them more like sisters. Kenzi finally agrees the lace might need some cleaning when Bo points out some rat shit in a frying pan. We jump to another house where some old lady is complaining constantly to her sister about the neighbours. The sister comes in and stabs her with knitting needles. The camera pans back and a huge spider crawls up on the ball of yarn. Continue reading “Lost Girl Review: Episode 7”

Lost Girl Review: Episode 6

Lost GirlEpisode 6: Food for Thought

The sub-plot about Bo’s mother is on hold for this episode, so we can explore some of the culinary habits of the Fae. The episode starts with Bo getting dressed for a doctor’s appointment. Kenzi notices she’s looking pretty fancy and Bo admits the “appointment” is with Lauren, to see if Bo can control herself when surrounded by tasty humans. Seems like a bit of a gamble; what if she can’t control herself? Is Lauren gonna tranquilize her right there in the bar? Of course, we know some shit is going down, because Bo says the magic words: “What could possibly go wrong?” Continue reading “Lost Girl Review: Episode 6”

Lost Girl Review: Episode 5

Dyson and BoEpisode 5 Dead Lucky

This episode starts (as many do) with Bo getting some action. She and Dyson are going at it on Dyson’s desk at the police station. When he asks why she needed healing, Bo says she didn’t; she was just hungry. Nothing like a midnight snack to keep you going. They try to come up with some rules for their “friends with benefits” arrangement (yeah, ’cause that always works), but it’s obvious Dyson is more invested than her in their relationship. He even asks if he can walk her home, but she says she can take care of herself … and she’s immediately shanghaied by three guys with guns (though she does give one guy a good kick in the balls). Continue reading “Lost Girl Review: Episode 5”

Lost Girl Review: Episode 4

Dyson with skull
Alas, poor Samir, I knew him, Horatio.

Episode 4: Faetal Attraction

=====
A plane-wave DFT calculation with r2SCAN was carried out for a relaxed structure of SrIn2Pd.

```
data_SrIn2Pd
_chemical_formula_sum 'Sr4 In8 Pd4'
_cell_length_a 4.553
_cell_length_b 10.918
_cell_length_c 7.979
_cell_angle_alpha 90.00
_cell_angle_beta 90.00
_cell_angle_gamma 90.00
_space_group_name_H-M_alt 'C m c m'
_space_group_IT_number 63
_space_group_name_Hall '-C 2c 2'
loop_
_atom_site_label
_atom_site_type_symbol
_atom_site_fract_x
_atom_site_fract_y
_atom_site_fract_z
Sr1 Sr 0.000 0.059 0.250
In1 In 0.000 0.346 0.054
Pd1 Pd 0.000 0.220 0.750
```

Computed properties:
Mass density in g cm⁻³: 7.10
Final energy in eV/atom: -21.50
Crystal system: orthorhombic


A plane-wave DFT calculation with r2SCAN was carried out for a relaxed structure of Sm2CdSb4.

```
data_Sm2CdSb4
_chemical_formula_sum 'Sm2 Cd1 Sb4'
_cell_length_a 4.290
_cell_length_b 4.290
_cell_length_c 11.024
_cell_angle_alpha 90.00
_cell_angle_beta 90.00
_cell_angle_gamma 90.00
_space_group_name_H-M_alt 'P -4 m 2'
_space_group_IT_number 115
loop_
_space_group_symop_operation_xyz
'x,y,z'
'y,-x,-z'
'-x,-y,z'
'-y,x,-z'
'-x,y,z'
'-y,-x,-z'
'x,-y,z'
'y,x,-z'
loop_
_atom_site_label
_atom_site_type_symbol
_atom_site_fract_x
_atom_site_fract_y
_atom_site_fract_z
Sm1 Sm 0.000 0.500 0.231
Cd1 Cd 0.500 0.500 0.500
Sb1 Sb 0.000 0.000 0.000
Sb2 Sb 0.000 0.500 0.672
Sb3 Sb 0.500 0.500 0.000
```

Computed properties:
Mass density in g cm⁻³: 7.37
Final energy in eV/atom: -26.87
Crystal system: tetragonal


A plane-wave DFT calculation with r2SCAN was carried out for a relaxed structure of MoPO5.

```
data_MoPO5
_chemical_formula_sum 'Mo4 P4 O20'
_cell_length_a 7.298
_cell_length_b 6.407
_cell_length_c 7.321
_cell_angle_alpha 90.00
_cell_angle_beta 90.00
_cell_angle_gamma 90.00
_space_group_name_H-M_alt 'P n m a'
_space_group_IT_number 62
loop_
_space_group_symop_operation_xyz
'x,y,z'
'-x,-y,-z'
'-x+1/2,-y,z+1/2'
'x+1/2,y,-z+1/2'
'x+1/2,-y+1/2,-z+1/2'
'-x+1/2,y+1/2,z+1/2'
'-x,y+1/2,-z'
'x,-y+1/2,z'
loop_
_atom_site_label
_atom_site_type_symbol
_atom_site_fract_x
_atom_site_fract_y
_atom_site_fract_z
Mo1 Mo 0.125 0.250 0.246
P1 P 0.123 0.750 0.371
O1 O 0.049 0.250 0.509
O2 O 0.121 0.558 0.248
O3 O 0.127 0.750 0.811
O4 O 0.203 0.250 0.988
```

Computed properties:
Mass density in g cm⁻³: 4.01
Final energy in eV/atom: -11.52
Crystal system: orthorhombic


A plane-wave DFT calculation with r2SCAN was carried out for a relaxed structure of K2MgCl4.

```
data_K2MgCl4
_chemical_formula_sum 'K4 Mg2 Cl8'
_cell_length_a 4.928
_cell_length_b 4.928
_cell_length_c 15.619
_cell_angle_alpha 90.00
_cell_angle_beta 90.00
_cell_angle_gamma 90.00
_space_group_name_H-M_alt 'I 4/m m m'
_space_group_IT_number 139
_space_group_name_Hall '-I 4 2'
loop_
_atom_site_label
_atom_site_type_symbol
_atom_site_fract_x
_atom_site_fract_y
_atom_site_fract_z
K1 K 0.000 0.000 0.142
Mg1 Mg 0.000 0.000 0.500
Cl1 Cl 0.000 0.000 0.340
Cl2 Cl 0.000 0.500 0.000
```

Computed properties:
Mass density in g cm⁻³: 2.14
=====
# So much for the data records

This one starts in media res, with Dyson showing up at a house and Bo and Kenzi running out right before the house blows up. Debris rains down on them, including a human skull; so yeah, skull rain … where do you go from there? Well, we go back in time a bit to see Bo sleeping and Kenzi waking her up. Bo tells her about Dyson banging the waitress at the Dal. Bo’s not taking it well and Kenzi realizes she’s never been rejected before. I guess that makes sense; how do you reject a succubus who can charm you into wanting her? Kenzi tells Bo that dealing with rejection can be fun. I’m not sure if that’s exactly the right word. Continue reading “Lost Girl Review: Episode 4”

Lost Girl Review: Episode 3

Lost GirlEpisode 3:  Oh Kappa, My Kappa
This episode seems to be set right after the last one, as it starts with Bo and Dyson waking up together in Bo’s bed. Bo is a bit surprised, saying it’s the first time she hasn’t woken up next to a dead body after sex. More shocking to me is the fact that Dyson spent the night. Bo is completely healed because of the sweet sweet lovin’, but they bang again; I think this may be the first time that saying “I have a headache” is actually used as an invitation to sex. Elsewhere, a girl is running through the woods (they kinda look like the same woods from last episode, but it turns out they’re not); she stops at the edge of a huge hole in the ground, turns, and screams … and cue the opening credits. Continue reading “Lost Girl Review: Episode 3”

Lost Girl Review: Episode 2

Lost GirlEpisode #2: Where There’s a Will, There’s a Fae
This episode opens with Bo and Kenzi doing some shopping. Kenzi’s wearing a blonde wig (as a disguise, I guess?) and it’s a pretty good look for her. They’re buying tools to fix up their “crack shack” as Kenzi calls it. Continue reading “Lost Girl Review: Episode 2”

Lost Girl Review: Episode 1

Bo: she’s succu-licious!

Welcome to my first review of the TV show Lost Girl, which ran from 2010 to 2016. It’s about a woman named Bo, who finds out the reason she keeps waking up next to dead lovers is because she’s a succubus who needs to drain energy from the living in order to survive. And that’s just the start; this series takes Bo (and us) on a wild ride to uncover her past and fight the ultimate evil. Sounds a bit like Buffy, you say? Well, there are similarities; both shows have kick-ass (but flawed) female protagonists, both are what you might call “sex-positive”, and both are adept in the use of snark. But I wouldn’t say Lost Girl is a Buffy clone … more of a natural successor. You may disagree, of course, but I look at Buffy and Lost Girl as two separate entities, both of which are great shows in their own right. So I hope you’ll join me every Wednesday as I review Lost Girl episodes. If you’re already a fan, I hope these reviews will bring back some fond memories, and if you’re new to the show, maybe you’ll become a fan. Okay, enough talk, on with the show! Continue reading “Lost Girl Review: Episode 1”